iPad is an innovative device and it has attracted many to purchase it. Thus, it has a huge market and sold worldwide. Apple has released SDK of the third party apps development and created a market place for them in form of iTunes store. Once developer register and download SDK he/she becomes liable to get 70% share from the sale. Apple keeps only 30% from it. This way Apple has created a huge market for the developers. Statistics indicates that there are more than 2 million iPad apps have been downloaded till to date. This alone indicates the popularity of iTunes store amongst the masses and earning of iPad developers as a whole.
If you want to take advantage of this platform then you have to register as an iPad developer at Apple store. Once you get registration you can download iPad SDK and start development. If you are not an iPad developer and unable to do iPad development yourself, then you can hire an iPad developer from a reputed outsourcing company. This is because outsourcing companies have cheaper developer than your current country. You can take advantage of currency differences and get cheaper iPad development. This way you can get economic advantages with outsourcing companies and secure your margin in iPad development.
The piece is interrupted by records of crystals
____________
Record 1
{"formula": "BaErGaSe3", "functional": "PBE-GGA", "state": "relaxed", "cell": [[2.087, -7.249, 0.000], [2.087, 7.249, 0.000], [0.000, 0.000, 11.725]], "species": ["Ba", "Ba", "Er", "Er", "Ga", "Ga", "Se", "Se", "Se", "Se", "Se", "Se"], "fractional_positions": [[0.207, 0.793, 0.750], [0.793, 0.207, 0.250], [0.500, 0.500, 0.000], [0.500, 0.500, 0.500], [0.104, 0.896, 0.250], [0.896, 0.104, 0.750], [0.132, 0.868, 0.009], [0.132, 0.868, 0.491], [0.485, 0.515, 0.250], [0.515, 0.485, 0.750], [0.868, 0.132, 0.509], [0.868, 0.132, 0.991]]}

Record 2
{"formula": "BaErGaTe3", "functional": "PBE-GGA", "state": "relaxed", "cell": [[2.262, -7.438, 0.000], [2.262, 7.438, 0.000], [0.000, 0.000, 12.045]], "species": ["Ba", "Ba", "Er", "Er", "Ga", "Ga", "Te", "Te", "Te", "Te", "Te", "Te"], "fractional_positions": [[0.242, 0.758, 0.750], [0.758, 0.242, 0.250], [0.000, 0.000, 0.000], [0.000, 0.000, 0.500], [0.451, 0.549, 0.250], [0.549, 0.451, 0.750], [0.073, 0.927, 0.250], [0.358, 0.642, 0.028], [0.358, 0.642, 0.472], [0.642, 0.358, 0.528], [0.642, 0.358, 0.972], [0.927, 0.073, 0.750]]}

| no. | total magnetization (μB/f.u.) | V (Å³/atom) | final energy (eV per cell) |
| --- | --- | --- | --- |
| 1 | 0.0 | 29.56 | -56.355 |
| 2 | 0.0 | 33.78 | -50.557 |

* * * * *

Crystalline SbWO6 at its relaxed geometry. Source: Alexandria via LeMat-Bulk, functional PBE with a Hubbard U.

Cell lengths 5.4969, 5.4969, 5.4969 Å; angles 59.99, 59.99, 59.99 degrees
With the nearest neighbours (Å) after each atom.
Element x y z (fractional)
Sb  0.0000  0.0000  0.0000  6 O 1.97
W  0.5000  0.5000  0.5000  6 O 1.92
O  0.2491  0.2565  0.7478  1 W 1.92, 1 Sb 1.97
O  0.2522  0.7509  0.7435  1 W 1.92, 1 Sb 1.97
O  0.2565  0.7478  0.2491  1 W 1.92, 1 Sb 1.97
O  0.7435  0.2522  0.7509  1 W 1.92, 1 Sb 1.97
O  0.7478  0.2491  0.2565  1 W 1.92, 1 Sb 1.97
O  0.7509  0.7435  0.2522  1 W 1.92, 1 Sb 1.97

Summary:
Space-group type: R-3 (148)
Total DFT energy (no corrections), eV for the cell shown: -52.3
____________
End of the records of crystals
iPad development has vast area of development and this reflects in the iTunes store where you can find the various categories of iPad apps like: ·        Entertainment ·        Games ·        Education ·        Business ·        Sports ·        Travel ·        Social networking ·        Music ·        Video ·        Movies ·        Utility, etc. You can select any categories and develop apps for your selected categories and put into iTunes store for sale. This alone is not enough. You are to promote your app on the internet too. So you can get good reviews of your apps. Customer reviews are another thing and it helps you a lot in selling on iTunes store so appeal your customers to leave a good review of your apps if they like it. Social media are another bet to get a good exposure of your apps. You can promote your apps on Facebook, Google+, Twitter, etc. so people know about it and tempted to download it more.
Apart from various marketing techniques your app should have inherent capability to prove itself a worth thing to buy so make app which is useful to its users. If your app is good then it will sold with the words to mouth ways i.e. viral ways.
If you want to take advantage of this platform then you have to register as an iPad developer at Apple store. Once you get registration you can download iPad SDK and start development. If you are not an iPad developer and unable to do iPad development yourself, then you can hire an iPad developer from a reputed outsourcing company. This is because outsourcing companies have cheaper developer than your current country. You can take advantage of currency differences and get cheaper iPad development. This way you can get economic advantages with outsourcing companies and secure your margin in iPad development.
iPad development has vast area of development and this reflects in the iTunes store where you can find the various categories of iPad apps like: ·        Entertainment ·        Games ·        Education ·        Business ·        Sports ·        Travel ·        Social networking ·        Music ·        Video ·        Movies ·        Utility, etc. You can select any categories and develop apps for your selected categories and put into iTunes store for sale. This alone is not enough. You are to promote your app on the internet too. So you can get good reviews of your apps. Customer reviews are another thing and it helps you a lot in selling on iTunes store so appeal your customers to leave a good review of your apps if they like it. Social media are another bet to get a good exposure of your apps. You can promote your apps on Facebook, Google+, Twitter, etc. so people know about it and tempted to download it more.
Apart from various marketing techniques your app should have inherent capability to prove itself a worth thing to buy so make app which is useful to its users. If your app is good then it will sold with the words to mouth ways i.e. viral ways.